== Brief ==
Please copy everything underneath without additions.

== Contents ==
********
Here is a geometry-optimized MnSiNi2 structure from the Alexandria database. Energies are from PBE.

a = 7.949 Å, b = 7.949 Å, c = 7.949 Å
α = 19.13°, β = 19.13°, γ = 19.13°
Positions (direct):
Mn: 0.000 0.000 0.000
Si: 0.500 0.500 0.500
Ni: 0.245 0.245 0.245
Ni: 0.755 0.755 0.755

Values from the calculation:
Magnetization   0.85 μB per atom
ΔE_f (raw)   -108 meV per atom
V   11.784 A^3/atom
D(E_F)   2.80 states/eV/f.u.
Symmetry   R-3m

~~~~~

(1)
The following is a DFT calculation (GGA-PBE) of Ac6Ag3Ir2S after structural relaxation.

The structure in CIF format:
```
data_Ac6Ag3Ir2S
_chemical_formula_sum 'Ac12 Ag6 Ir4 S2'
_symmetry_space_group_name_H-M 'C 1 2/m 1'
_symmetry_Int_Tables_number 12
_symmetry_space_group_name_Hall '-C 2y'
_cell_length_a 7.706
_cell_length_b 13.312
_cell_length_c 7.990
_cell_angle_alpha 90.00
_cell_angle_beta 108.45
_cell_angle_gamma 90.00
loop_
_atom_site_label
_atom_site_type_symbol
_atom_site_fract_x
_atom_site_fract_y
_atom_site_fract_z
Ac1 Ac 0.224 0.000 0.212
Ac2 Ac 0.248 0.326 0.221
Ag1 Ag 0.000 0.000 0.500
Ag2 Ag 0.000 0.344 0.500
Ir1 Ir 0.000 0.167 0.000
S1 S 0.000 0.500 0.000
```

Calculated values
**DOS(E_F)**: 0.51 states/eV/atom
**Density**: 8979 kg/m3
**Uncorrected formation energy**: -0.6823 eV per atom
**Magnetization**: 0.00 μB per formula unit

(2)
The following is a DFT calculation (GGA-PBE) of LiTl2 after structural relaxation.

The structure in CIF format:
```
data_LiTl2
_chemical_formula_sum 'Li2 Tl4'
_symmetry_space_group_name_H-M 'I m m m'
_symmetry_Int_Tables_number 71
_symmetry_space_group_name_Hall '-I 2 2'
_cell_length_a 3.598
_cell_length_b 5.329
_cell_length_c 8.013
_cell_angle_alpha 90.00
_cell_angle_beta 90.00
_cell_angle_gamma 90.00
loop_
_atom_site_label
_atom_site_type_symbol
_atom_site_fract_x
_atom_site_fract_y
_atom_site_fract_z
Li1 Li 0.000 0.000 0.000
Tl1 Tl 0.000 0.500 0.195
```

Calculated values
**Formation energy**: -0.06 eV/atom
**ΔE to the lowest computed polymorph**: 7.3 kJ per mole of atoms
**DOS(E_F)**: 0.43 states/eV/atom
**Density**: 8985 kg/m3
**Magnetization**: 0.00 μB per formula unit

(3)
The following is a DFT calculation (GGA-PBE) of Pr4PuN4 after structural relaxation.

The structure in CIF format:
```
data_Pr4PuN4
_chemical_formula_sum 'Pr8 Pu2 N8'
_symmetry_space_group_name_H-M 'C 1 2/m 1'
_symmetry_Int_Tables_number 12
_symmetry_space_group_name_Hall '-C 2y'
_cell_length_a 12.155
_cell_length_b 3.631
_cell_length_c 9.038
_cell_angle_alpha 90.00
_cell_angle_beta 119.83
_cell_angle_gamma 90.00
loop_
_atom_site_label
_atom_site_type_symbol
_atom_site_fract_x
_atom_site_fract_y
_atom_site_fract_z
Pr1 Pr 0.107 0.000 0.384
Pr2 Pr 0.205 0.500 0.811
Pu1 Pu 0.000 0.500 0.000
N1 N 0.093 0.000 0.914
N2 N 0.194 0.500 0.294
```

Calculated values
**ΔE to the lowest computed polymorph**: 0.0 kJ per mole of atoms
**DOS(E_F)**: 1.02 states/eV/atom
**Density**: 8290 kg/m3
**Uncorrected formation energy**: -1.1207 eV per atom
**Magnetization**: 5.58 μB per formula unit

(4)
The following is a DFT calculation (GGA-PBE) of Cs6CrAs4 after structural relaxation.

The structure in CIF format:
```
data_Cs6CrAs4
_chemical_formula_sum 'Cs12 Cr2 As8'
_symmetry_space_group_name_H-M 'P 63 m c'
_symmetry_Int_Tables_number 186
_symmetry_space_group_name_Hall 'P 6c -2c'
_cell_length_a 10.9830
_cell_length_b 10.9830
_cell_length_c 8.9379
_cell_angle_alpha 90.00
_cell_angle_beta 90.00
_cell_angle_gamma 120.00
loop_
_atom_site_label
_atom_site_type_symbol
_atom_site_fract_x
_atom_site_fract_y
_atom_site_fract_z
Cs1 Cs 0.0695 0.5347 0.0000
Cs2 Cs 0.1468 0.2935 0.6816
Cr1 Cr 0.3333 0.6667 0.3951
As1 As 0.2169 0.4337 0.3126
As2 As 0.3333 0.6667 0.6554
```

Calculated values
**Formation energy**: -0.35 eV/atom
**DOS(E_F)**: 0.12 states/eV/atom
**Density**: 4087 kg/m3
**Magnetization**: 0.00 μB per formula unit

(5)
The following is a DFT calculation (GGA-PBE) of YZn4Br after structural relaxation.

The structure in CIF format:
```
data_YZn4Br
********

== Response ==
Here is a geometry-optimized MnSiNi2 structure from the Alexandria database. Energies are from PBE.

a = 7.949 Å, b = 7.949 Å, c = 7.949 Å
α = 19.13°, β = 19.13°, γ = 19.13°
Positions (direct):
Mn: 0.000 0.000 0.000
Si: 0.500 0.500 0.500
Ni: 0.245 0.245 0.245
Ni: 0.755 0.755 0.755

Values from the calculation:
Magnetization   0.85 μB per atom
ΔE_f (raw)   -108 meV per atom
V   11.784 A^3/atom
D(E_F)   2.80 states/eV/f.u.
Symmetry   R-3m

~~~~~

(1)
The following is a DFT calculation (GGA-PBE) of Ac6Ag3Ir2S after structural relaxation.

The structure in CIF format:
```
data_Ac6Ag3Ir2S
_chemical_formula_sum 'Ac12 Ag6 Ir4 S2'
_symmetry_space_group_name_H-M 'C 1 2/m 1'
_symmetry_Int_Tables_number 12
_symmetry_space_group_name_Hall '-C 2y'
_cell_length_a 7.706
_cell_length_b 13.312
_cell_length_c 7.990
_cell_angle_alpha 90.00
_cell_angle_beta 108.45
_cell_angle_gamma 90.00
loop_
_atom_site_label
_atom_site_type_symbol
_atom_site_fract_x
_atom_site_fract_y
_atom_site_fract_z
Ac1 Ac 0.224 0.000 0.212
Ac2 Ac 0.248 0.326 0.221
Ag1 Ag 0.000 0.000 0.500
Ag2 Ag 0.000 0.344 0.500
Ir1 Ir 0.000 0.167 0.000
S1 S 0.000 0.500 0.000
```

Calculated values
**DOS(E_F)**: 0.51 states/eV/atom
**Density**: 8979 kg/m3
**Uncorrected formation energy**: -0.6823 eV per atom
**Magnetization**: 0.00 μB per formula unit

(2)
The following is a DFT calculation (GGA-PBE) of LiTl2 after structural relaxation.

The structure in CIF format:
```
data_LiTl2
_chemical_formula_sum 'Li2 Tl4'
_symmetry_space_group_name_H-M 'I m m m'
_symmetry_Int_Tables_number 71
_symmetry_space_group_name_Hall '-I 2 2'
_cell_length_a 3.598
_cell_length_b 5.329
_cell_length_c 8.013
_cell_angle_alpha 90.00
_cell_angle_beta 90.00
_cell_angle_gamma 90.00
loop_
_atom_site_label
_atom_site_type_symbol
_atom_site_fract_x
_atom_site_fract_y
_atom_site_fract_z
Li1 Li 0.000 0.000 0.000
Tl1 Tl 0.000 0.500 0.195
```

Calculated values
**Formation energy**: -0.06 eV/atom
**ΔE to the lowest computed polymorph**: 7.3 kJ per mole of atoms
**DOS(E_F)**: 0.43 states/eV/atom
**Density**: 8985 kg/m3
**Magnetization**: 0.00 μB per formula unit

(3)
The following is a DFT calculation (GGA-PBE) of Pr4PuN4 after structural relaxation.

The structure in CIF format:
```
data_Pr4PuN4
_chemical_formula_sum 'Pr8 Pu2 N8'
_symmetry_space_group_name_H-M 'C 1 2/m 1'
_symmetry_Int_Tables_number 12
_symmetry_space_group_name_Hall '-C 2y'
_cell_length_a 12.155
_cell_length_b 3.631
_cell_length_c 9.038
_cell_angle_alpha 90.00
_cell_angle_beta 119.83
_cell_angle_gamma 90.00
loop_
_atom_site_label
_atom_site_type_symbol
_atom_site_fract_x
_atom_site_fract_y
_atom_site_fract_z
Pr1 Pr 0.107 0.000 0.384
Pr2 Pr 0.205 0.500 0.811
Pu1 Pu 0.000 0.500 0.000
N1 N 0.093 0.000 0.914
N2 N 0.194 0.500 0.294
```

Calculated values
**ΔE to the lowest computed polymorph**: 0.0 kJ per mole of atoms
**DOS(E_F)**: 1.02 states/eV/atom
**Density**: 8290 kg/m3
**Uncorrected formation energy**: -1.1207 eV per atom
**Magnetization**: 5.58 μB per formula unit

(4)
The following is a DFT calculation (GGA-PBE) of Cs6CrAs4 after structural relaxation.

The structure in CIF format:
```
data_Cs6CrAs4
_chemical_formula_sum 'Cs12 Cr2 As8'
_symmetry_space_group_name_H-M 'P 63 m c'
_symmetry_Int_Tables_number 186
_symmetry_space_group_name_Hall 'P 6c -2c'
_cell_length_a 10.9830
_cell_length_b 10.9830
_cell_length_c 8.9379
_cell_angle_alpha 90.00
_cell_angle_beta 90.00
_cell_angle_gamma 120.00
loop_
_atom_site_label
_atom_site_type_symbol
_atom_site_fract_x
_atom_site_fract_y
_atom_site_fract_z
Cs1 Cs 0.0695 0.5347 0.0000
Cs2 Cs 0.1468 0.2935 0.6816
Cr1 Cr 0.3333 0.6667 0.3951
As1 As 0.2169 0.4337 0.3126
As2 As 0.3333 0.6667 0.6554
```

Calculated values
**Formation energy**: -0.35 eV/atom
**DOS(E_F)**: 0.12 states/eV/atom
**Density**: 4087 kg/m3
**Magnetization**: 0.00 μB per formula unit

(5)
The following is a DFT calculation (GGA-PBE) of YZn4Br after structural relaxation.

The structure in CIF format:
```
data_YZn4Br